Applebee’s was in the news recently. No, not for their chicken fajitas; although, Wilbur Freemish from Burnt Scrub, Arkansas, did file a product liability suit after trying to use a skillet for a Frisbee. (He said the waiter forgot to warn him the skillet might be hot after Wilbur watched the skillet come off the fire.) Rather, Applebee’s was in the news for this: An Applebee’s Exec Just Sent an Email That the Company Was Quick to Disavow:

Records of crystals, kept here for reference:
# Ga
Simulated powder XRD pattern, copper Kα. Input: a PBE-relaxed structure.
Lines closer than 0.1° are merged.

Principal peaks in the range 5° ≤ 2θ ≤ 70°, in order of rising 2θ:
| Position (°2θ) | d/Å | I/Imax |
| --- | --- | --- |
| 33.97 | 2.639 | 40 |
| 34.25 | 2.618 | 100 |
| 37.42 | 2.403 | 56 |
| 39.67 | 2.272 | 57 |
| 42.47 | 2.128 | 63 |
| 47.08 | 1.930 | 39 |

Crystal structure
```
Ga
1.0
4.571 2.639 5.817
-4.571 2.639 5.817
0.000 -5.278 5.817
Ga
22
Cartesian
0.000 0.000 0.000
-2.286 -1.320 5.817
-3.188 -1.841 8.499
0.000 -2.738 4.702
-2.371 1.369 4.702
0.000 -3.681 8.953
-3.188 1.841 8.953
0.000 -1.614 7.365
-1.397 0.807 7.365
-1.397 -0.807 10.087
-2.371 -1.369 12.750
-2.286 1.320 11.635
0.000 2.639 5.817
2.371 1.369 4.702
1.397 0.807 7.365
1.397 -0.807 10.087
0.000 1.614 10.087
3.188 -1.841 8.499
0.000 3.681 8.499
2.371 -1.369 12.750
0.000 2.738 12.750
3.188 1.841 8.953
```

Wayne Pankratz, a top executive at an Applebee’s franchise chain, sent a blast email … crowing that rising gas prices were an “advantage” for the chain. He reasoned that cash-strapped people would have no choice but to take food-service jobs, even if the chain lowered its wages, which he encouraged his colleagues to do … “Most of our employee base and potential employee base live paycheck to paycheck,” he wrote. Stimulus payments and pandemic unemployment payments have both ended, leaving them with reduced incomes just as prices are rapidly rising. “This benefits us,” he wrote. “It will force people back into the work force” … Applebee’s would further benefit from the strain on other businesses, especially mom and pop stores. Faced with higher prices, these businesses would face an unpleasant choice of either raising prices, cutting employee hours, or lowering wages, Pankratz wrote. “Some businesses will not be able to hold on. This is going to drive more potential employees into the hiring pool.”

Inc. reported the story, along with three important lessons to be learned from the fiasco:

  1. Be very careful what you write in a blast email.
  2. Tone matters.
  3. Employees are not the enemy.

While those lesson may be important, their importance is secondary to three other lessons.

Copy and Paste

Please feel free to use the lessons below as you see fit. I claim no ownership or copyrights:

  1. Don’t be an idiot. I don’t know Wayne. But it’s fairly apparent he’s a moron. While it’s not possible to stop being a moron, it’s surprisingly easy to prevent yourself from making it screamingly evident you’re a moron. Here’s how: Whatever you’re intending to do, don’t do it. Problem solved.
  2. Don’t be an idiot. Putting your idiocy in writing is a definite no-no. Wayne is a little ahead of the curve here because most people who are as stupid as he is are functionally illiterate. In this case, it worked against him. He’d have been ahead of the game if he’d whispered the contents of his email to his deaf dog, then deleted the email.
  3. Don’t be an idiot. If you’re going to be as stupid as Wayne, rather than writing a suicidal email, try a stunt that at least has the possibility of taking you out of the gene pool by your own hand. I’m going to keep a tab in my browser open to The Darwin Awards in case Wayne decides to take my advice.

Wayne, if you haven’t yet succeeded at #3 and you’re still out there somewhere, call me at 1-800-HIT-SEND. I’ll send you a complete, complimentary copy of my award-winning program: Women and Children First: How Not to Nuke Your Career With Email.

Don’t Be Like Wayne

This is not complicated, kids. A moment’s thought, a little contemplation, a cursory cost/benefit calculation, and a moment taken to get over yourself may be all that’s required to keep you from blowing both feet off with one shot.

The face you save — to say nothing of the employment, the career, the reputation, the relationships, and the feet — may be your own.